Change is Coming

Dear Family and Friends of The Neighborhood Church,

• Inserted here: materials data:
~~~
# 1
Below is a relaxed structure of TaPt2SeI, with properties calculated at the GGA-PBE level.

a = 4.6828 Å, b = 4.6828 Å, c = 5.5021 Å
α = 90.00°, β = 90.00°, γ = 90.00°
Space group P4/mmm (No. 123)
One atom of each set of equivalent atoms:
Ta  0.0000  0.0000  0.0000 [1 per cell]
Pt  0.0000  0.5000  0.5000 [2 per cell]
Se  0.5000  0.5000  0.5000 [1 per cell]
I  0.5000  0.5000  0.0000 [1 per cell]

## Properties
For the density of states at the Fermi level, the calculation gives 0.89 states/eV/atom. The value obtained for the energy is -4.522 eV per atom. For the uncorrected formation energy, the calculation gives 1.272 eV per atom.

=====

# 2
Below is a relaxed structure of Ti3NbIn, with properties calculated at the GGA-PBE level.

a = 14.1116 Å, b = 7.1868 Å, c = 7.5943 Å
α = 90.00°, β = 96.42°, γ = 90.00°
Space group C2/c (No. 15)
One atom of each set of equivalent atoms:
Ti  0.0941  0.1761  0.4460 [8 per cell]
Ti  0.1166  0.1880  0.0924 [8 per cell]
Ti  0.2158  0.4615  0.4833 [8 per cell]
Nb  0.2020  0.2082  0.7732 [8 per cell]
In  0.0000  0.1049  0.7500 [4 per cell]
In  0.0000  0.4957  0.7500 [4 per cell]

## Properties
For the density of states at the Fermi level, the calculation gives 1.02 states/eV/atom. As for the formation energy: 0.161 eV/atom. The value obtained for the energy is -7.138 eV per atom.

=====

# 3
Below is a relaxed structure of TaAs2Ir, with properties calculated at the GGA-PBE level.

a = 3.9451 Å, b = 3.9451 Å, c = 8.3803 Å
α = 90.00°, β = 90.00°, γ = 90.00°
Space group I-4m2 (No. 119)
One atom of each set of equivalent atoms:
Ta  0.0000  0.0000  0.0000 [2 per cell]
As  0.0000  0.0000  0.5000 [2 per cell]
As  0.0000  0.5000  0.7500 [2 per cell]
Ir  0.0000  0.5000  0.2500 [2 per cell]

## Properties
For the density of states at the Fermi level, the calculation gives 0.52 states/eV/atom. As for the formation energy: 0.013 eV/atom. The value obtained for the energy is -7.490 eV per atom.
~~~
• The materials data stop here:

I was reminded this week of Mark Twain, who was known to have said: “The only person who likes change is a baby with a wet diaper.”  I can attest that, for some babies, even that kind of change is not welcome! Their screams of protest and/or pain are evidence of that fact. Why, this week, did this catch my eye? Because it reminds me a bit of what we’re experiencing at The Neighborhood Church in these months of transition.  The “C” word: “change”.

We all realize, of course, that all things change, or they eventually die. Our skin cells, for example, are constantly changing—dying, sluffing off, and new ones growing in their place. In times of transition, things do not always stay the same or even tidy. Change can be messy (back to a baby’s diaper?), and it may seem to some around here to be the case—it may be that way for a while. We’ll try new things, explore some different paths, and ponder our choices at a few proverbial forks in the road along the way. 
Being human, there may be times when this is uncomfortable, and some may even get discouraged or fussy about it. Such is the nature of change, and our response to it.

Misplaced calculated crystals =
********
First-principles (PBE) data for crystalline Sr2P3Pd3 at its relaxed geometry, as listed in the Open Quantum Materials Database.

Properties
* SG: Pmmm
* E: -5.302 eV/atom
* crystal system: orthorhombic

Lattice parameters (Å, degrees): 4.2270 4.2654 34.4412 90.00 90.00 90.00
With the nearest neighbours (Å) after each atom.
Fractional positions:
P 0.0000 0.0000 0.0398  5 Pd 2.41-2.53
P 0.5000 0.0000 0.1447  1 P 2.27, 2 Pd 2.43
P 0.5000 0.0000 0.2105  1 P 2.27, 4 Pd 2.48-2.52
P 0.0000 0.5000 0.2876  1 P 2.28, 4 Pd 2.48-2.53
P 0.0000 0.5000 0.3537  1 P 2.28, 2 Pd 2.44
P 0.5000 0.5000 0.4597  5 Pd 2.42-2.55
P 0.5000 0.5000 0.5403  5 Pd 2.42-2.55
P 0.0000 0.5000 0.6463  1 P 2.28, 2 Pd 2.44
P 0.0000 0.5000 0.7124  1 P 2.28, 4 Pd 2.48-2.53
P 0.5000 0.0000 0.7895  1 P 2.27, 4 Pd 2.48-2.52
P 0.5000 0.0000 0.8553  1 P 2.27, 2 Pd 2.43
P 0.0000 0.0000 0.9602  5 Pd 2.41-2.53
Pd 0.5000 0.0000 0.0000  4 P 2.52
Pd 0.0000 0.5000 0.0000  4 P 2.53
Pd 0.0000 0.0000 0.1097  3 P 2.41-2.43
Pd 0.0000 0.0000 0.2480  4 P 2.48-2.53
Pd 0.5000 0.5000 0.2497  4 P 2.48-2.52
Pd 0.5000 0.5000 0.3893  3 P 2.42-2.44
Pd 0.5000 0.0000 0.5000  4 P 2.55
Pd 0.0000 0.5000 0.5000  4 P 2.53
Pd 0.5000 0.5000 0.6107  3 P 2.42-2.44
Pd 0.5000 0.5000 0.7503  4 P 2.48-2.52
Pd 0.0000 0.0000 0.7520  4 P 2.48-2.53
Pd 0.0000 0.0000 0.8903  3 P 2.41-2.43
Sr 0.5000 0.5000 0.0722  6 P 3.20-3.28, 8 Pd 3.26-3.28
Sr 0.0000 0.5000 0.1765  6 Pd 3.14-3.29, 8 P 3.20-3.22
Sr 0.5000 0.0000 0.3215  6 Pd 3.16-3.30, 8 P 3.20-3.22
Sr 0.0000 0.0000 0.4271  6 P 3.20-3.31, 8 Pd 3.27-3.29
Sr 0.0000 0.0000 0.5729  6 P 3.20-3.31, 8 Pd 3.27-3.29
Sr 0.5000 0.0000 0.6785  6 Pd 3.16-3.30, 8 P 3.20-3.22
Sr 0.0000 0.5000 0.8235  6 Pd 3.14-3.29, 8 P 3.20-3.22
Sr 0.5000 0.5000 0.9278  6 P 3.20-3.28, 8 Pd 3.26-3.28

~~~~~

The following is a PBE calculation of an optimized crystal structure of Sc7Pb2C2, from Alexandria.

Unit cell a=6.040 b=6.475 c=6.040 alpha=89.98 beta=105.31 gamma=90.02
Sites, in units of the cell vectors:
C: 0.736 0.000 0.264
C: 0.264 0.000 0.736
Sc: 0.000 0.779 0.500
Sc: 0.500 0.779 0.000
Sc: 0.000 0.221 0.500
Sc: 0.000 0.000 0.000
Sc: 0.500 0.221 0.000
Sc: 0.500 0.796 0.500
Sc: 0.500 0.204 0.500
Pb: 0.201 0.500 0.201
Pb: 0.799 0.500 0.799

Values from the calculation:
Formation enthalpy at 0 K (meV/atom): -183
Total magnetic moment (μB/atom): 0.17
SG: Cmmm, No. 65

~~~~~

Record 1
# AcTbErCd

An optimized crystal structure of AcTbErCd (PBE, Alexandria).

```
data_AcTbErCd
_chemical_formula_sum 'Ac4 Tb4 Er4 Cd4'
_cell_length_a 7.932
_cell_length_b 7.932
_cell_length_c 7.932
_cell_angle_alpha 90.00
_cell_angle_beta 90.00
_cell_angle_gamma 90.00
_space_group_name_H-M_alt 'F -4 3 m'
_space_group_IT_number 216
_space_group_name_Hall 'F -4 2 3'
loop_
_atom_site_label
_atom_site_type_symbol
_atom_site_fract_x
_atom_site_fract_y
_atom_site_fract_z
_atom_site_occupancy
Ac1 Ac 0.000 0.000 0.000 1
Tb1 Tb 0.250 0.250 0.750 1
Er1 Er 0.250 0.250 0.250 1
Cd1 Cd 0.000 0.000 0.500 1
```

Summary:
********

I bring up all of this only to let you know that I am very encouraged, hopeful, and positive about what is transpiring around TNC. Though I can’t say that this is my experience in every congregational setting in which I have served in the past 40 years or so, it seems that something good and powerful is afoot here these days. As some of you have mentioned to me—and I have experienced this sense too—that the Spirit of God is on the move in this place! There’s an energy and an enthusiasm as we come together that makes me very excited to see just what comes next. I hope you find it compelling as well, and that it does not send you scurrying off.

Allow me to tell you my top four reasons for my optimism and excitement:

  1. Above all, I know that our God is in charge, even of change. And that God’s providence will suffice. Need I say more?

Next to the page, the page also holds records of crystals.
-- begin --
No. 1
# LiLaPm2, optimized geometry, DFT PBE
data_LiLaPm2
_chemical_formula_sum 'Li4 La4 Pm8'
_space_group_name_H-M_alt 'F m -3 m'
_space_group_IT_number 225
_space_group_name_Hall '-F 4 2 3'
_cell_length_a 7.942
_cell_length_b 7.942
_cell_length_c 7.942
_cell_angle_alpha 90.00
_cell_angle_beta 90.00
_cell_angle_gamma 90.00
loop_
_atom_site_label
_atom_site_type_symbol
_atom_site_fract_x
_atom_site_fract_y
_atom_site_fract_z
Li1 Li 0.000 0.000 0.000
La1 La 0.000 0.000 0.500
Pm1 Pm 0.250 0.250 0.250
# - Excess energy over the best structure of this formula in the dataset: 0.148 eV per atom
# - ΔE_f: 0.87 eV per formula unit



No. 2
# Ba2Br2N, optimized geometry, DFT PBE
data_Ba2Br2N
_chemical_formula_sum 'Ba4 Br4 N2'
_space_group_name_H-M_alt 'I 4/m m m'
_space_group_IT_number 139
_space_group_name_Hall '-I 4 2'
_cell_length_a 6.176
_cell_length_b 6.176
_cell_length_c 9.535
_cell_angle_alpha 90.00
_cell_angle_beta 90.00
_cell_angle_gamma 90.00
loop_
_atom_site_label
_atom_site_type_symbol
_atom_site_fract_x
_atom_site_fract_y
_atom_site_fract_z
Ba1 Ba 0.000 0.500 0.250
Br1 Br 0.000 0.000 0.174
N1 N 0.000 0.000 0.500
# - Formation energy (no corrections): -255 kJ/mol of formula units



No. 3
# BaCd2Hg3, optimized geometry, DFT PBE
data_BaCd2Hg3
_chemical_formula_sum 'Ba2 Cd4 Hg6'
_space_group_name_H-M_alt 'P 63/m m c'
_space_group_IT_number 194
_space_group_name_Hall '-P 6c 2c'
_cell_length_a 5.1375
_cell_length_b 5.1375
_cell_length_c 15.0456
_cell_angle_alpha 90.00
_cell_angle_beta 90.00
_cell_angle_gamma 120.00
loop_
_atom_site_label
_atom_site_type_symbol
_atom_site_fract_x
_atom_site_fract_y
_atom_site_fract_z
Ba1 Ba 0.0000 0.0000 0.2500
Cd1 Cd 0.3333 0.6667 0.0828
Hg1 Hg 0.0000 0.0000 0.0000
Hg2 Hg 0.3333 0.6667 0.6295
# - Excess energy over the best structure of this formula in the dataset: 0.000 eV per atom
# - ΔE_f: -1.66 eV per formula unit

~~~~~

Entry 1:
A relaxed structure of Hg2RuW, computed with GGA-PBE.

Structure (CIF):
```
data_Hg2RuW
_cell_length_a 4.028
_cell_length_b 4.028
_cell_length_c 8.759
_cell_angle_alpha 90.00
_cell_angle_beta 90.00
_cell_angle_gamma 90.00
_symmetry_space_group_name_H-M 'I 4/m m m'
_symmetry_Int_Tables_number 139
_symmetry_space_group_name_Hall '-I 4 2'
loop_
_atom_site_label
_atom_site_fract_x
_atom_site_fract_y
_atom_site_fract_z
Hg1 0.000 0.500 0.250
Ru1 0.000 0.000 0.000
W1 0.000 0.000 0.500
```

Calculated values
Uncorrected energy ... -4.8190 eV per atom
Excess energy over the best structure of this formula in the dataset ... 0.5644 eV/atom
Crystal system ... tetragonal
Energy of formation ... 0.8892 eV/atom

=====

Entry 2:
A relaxed structure of Hg2RuW, computed with GGA-PBE.

Structure (CIF):
```
data_Hg2RuW
_cell_length_a 2.979
_cell_length_b 4.874
_cell_length_c 4.949
_cell_angle_alpha 90.00
_cell_angle_beta 90.00
_cell_angle_gamma 90.00
_symmetry_space_group_name_H-M 'P m m m'
_symmetry_Int_Tables_number 47
loop_
_symmetry_equiv_pos_as_xyz
'x,y,z'
'-x,-y,-z'
'-x,-y,z'
'x,y,-z'
'x,-y,-z'
-- stop --
So much for the records of crystals.

  2. The Council has appointed a very gifted and talented Transition Team to work closely with me in the months ahead. Their insight, analysis, Spirit-attentiveness, and passion for this place will bring about good things.

  3. So many of you have expressed your deep and abiding love for TNC, and have such deep hopes for our future! I believe this can be contagious…keep it up.

  4. We will be soliciting your thoughts, hopes, and dreams for TNC in the coming months. Many of you have reserved a place at a Listening Session—we still need many more voices to join in, and you are promising me that you will.  Please do so.

God spoke through the prophet Isaiah, recorded for us in the 43rd chapter: “Behold, I am doing a new thing; now it springs forth. Do you not perceive it?” That’s what we’re up to these days: listening, pursuing, striving to see what God wants has in store for TNC. Will you join us?

Pastor Rick
Intentional Interim Minister